## Excerpt
********
CoTe6Pd3: computed X-ray powder pattern (Cu Kα), based on a GGA-PBE-relaxed structure.
No peak broadening, texture or thermal motion is included.

Principal peaks in the range 10° ≤ 2θ ≤ 90°, low angle first:
- 2θ = 16.43°, 5.397 Å, I = 58
- 2θ = 18.39°, 4.824 Å, I = 100
- 2θ = 27.58°, 3.234 Å, I = 67
- 2θ = 28.28°, 3.156 Å, I = 57
- 2θ = 37.18°, 2.418 Å, I = 57
- 2θ = 37.37°, 2.406 Å, I = 62
- 2θ = 44.89°, 2.019 Å, I = 41
- 2θ = 45.15°, 2.008 Å, I = 47

```
data_CoTe6Pd3
_cell_length_a 6.0165
_cell_length_b 8.0361
_cell_length_c 8.0364
_cell_angle_alpha 60.31
_cell_angle_beta 68.97
_cell_angle_gamma 68.64
_symmetry_space_group_name_H-M 'P -1'
_symmetry_Int_Tables_number 2
loop_
_symmetry_equiv_pos_as_xyz
'x,y,z'
'-x,-y,-z'
loop_
_atom_site_label
_atom_site_fract_x
_atom_site_fract_y
_atom_site_fract_z
Co1 0.0000 0.0000 0.0000
Te1 0.2290 0.2739 0.8181
Te2 0.2349 0.8223 0.2708
Te3 0.2438 0.7874 0.7895
Pd1 0.0000 0.0000 0.5000
Pd2 0.0000 0.5000 0.0000
Pd3 0.5000 0.5000 0.5000
```



CaTl3Ge2O6: computed X-ray powder pattern (Cu Kα), based on a GGA-PBE-relaxed structure.
No peak broadening, texture or thermal motion is included.

Principal peaks in the range 10° ≤ 2θ ≤ 90°, low angle first:
- 2θ = 20.68°, 4.296 Å, I = 52
- 2θ = 29.07°, 3.072 Å, I = 100
- 2θ = 29.74°, 3.004 Å, I = 85
- 2θ = 35.94°, 2.499 Å, I = 26
- 2θ = 42.07°, 2.148 Å, I = 37
- 2θ = 51.53°, 1.774 Å, I = 21
- 2θ = 51.95°, 1.760 Å, I = 35
- 2θ = 60.26°, 1.536 Å, I = 17

```
data_CaTl3Ge2O6
_cell_length_a 6.1436
_cell_length_b 6.1436
_cell_length_c 7.2810
_cell_angle_alpha 90.00
_cell_angle_beta 90.00
_cell_angle_gamma 120.00
_symmetry_space_group_name_H-M 'P -3 m 1'
_symmetry_Int_Tables_number 164
_symmetry_space_group_name_Hall '-P 3 2"'
loop_
_atom_site_label
_atom_site_fract_x
_atom_site_fract_y
_atom_site_fract_z
Ca1 0.0000 0.0000 0.0000
Tl1 0.0000 0.0000 0.5000
Tl2 0.3333 0.6667 0.2671
Ge1 0.3333 0.6667 0.8323
O1 0.1724 0.3448 0.7945
```



Ca2Zn7In: computed X-ray powder pattern (Cu Kα), based on a GGA-PBE-relaxed structure.
No peak broadening, texture or thermal motion is included.

Principal peaks in the range 10° ≤ 2θ ≤ 90°, low angle first:
- 2θ = 15.76°, 5.622 Å, I = 26
- 2θ = 22.46°, 3.958 Å, I = 26
- 2θ = 31.90°, 2.806 Å, I = 30
- 2θ = 33.96°, 2.640 Å, I = 100
- 2θ = 42.77°, 2.114 Å, I = 58
- 2θ = 44.22°, 2.048 Å, I = 55
- 2θ = 45.69°, 1.986 Å, I = 23
- 2θ = 72.68°, 1.301 Å, I = 19

```
data_Ca2Zn7In
_cell_length_a 4.2287
_cell_length_b 4.2287
_cell_length_c 11.2446
_cell_angle_alpha 90.00
_cell_angle_beta 90.00
_cell_angle_gamma 90.00
_symmetry_space_group_name_H-M 'P -4 m 2'
_symmetry_Int_Tables_number 115
loop_
_symmetry_equiv_pos_as_xyz
'x,y,z'
'y,-x,-z'
'-x,-y,z'
'-y,x,-z'
'-x,y,z'
'-y,-x,-z'
'x,-y,z'
'y,x,-z'
loop_
_atom_site_label
_atom_site_fract_x
_atom_site_fract_y
_atom_site_fract_z
Ca1 0.0000 0.5000 0.2418
Zn1 0.0000 0.0000 0.0000
Zn2 0.0000 0.5000 0.6491
Zn3 0.0000 0.5000 0.8683
Zn4 0.5000 0.5000 0.0000
Zn5 0.5000 0.5000 0.5000
In1 0.0000 0.0000 0.5000
```



Ce3Dy2YTe6: computed X-ray powder pattern (Cu Kα), based on a GGA-PBE-relaxed structure.
No peak broadening, texture or thermal motion is included.

Principal peaks in the range 10° ≤ 2θ ≤ 90°, low angle first:
- 2θ = 28.54°, 3.127 Å, I = 100
- 2θ = 40.43°, 2.231 Å, I = 39
- 2θ = 41.18°, 2.192 Å, I = 37
- 2θ = 50.86°, 1.795 Å, I = 20
- 2θ = 59.08°, 1.564 Å, I = 13
- 2θ = 66.37°, 1.408 Å, I = 17
- 2θ = 67.41°, 1.389 Å, I = 11
- 2θ = 74.50°, 1.274 Å, I = 8

```
data_Ce3Dy2YTe6
_cell_length_a 7.5869
_cell_length_b 13.1672
_cell_length_c 7.7763
_cell_angle_alpha 90.00
_cell_angle_beta 109.04
_cell_angle_gamma 90.00
_symmetry_space_group_name_H-M 'C 1 2/m 1'
_symmetry_Int_Tables_number 12
loop_
_symmetry_equiv_pos_as_xyz
'x,y,z'
'-x,-y,-z'
'-x,y,-z'
'x,-y,z'
'x+1/2,y+1/2,z'
'-x+1/2,-y+1/2,-z'
'-x+1/2,y+1/2,-z'
'x+1/2,-y+1/2,z'
loop_
_atom_site_label
_atom_site_fract_x
_atom_site_fract_y
_atom_site_fract_z
Ce1 0.0000 0.0000 0.0000
Ce2 0.0000 0.3337 0.0000
Dy1 0.0000 0.1666 0.5000
********
## Assignment
Count the lines above that contain the word "Dy1" and give the number alone, please.
## Solution
1